'''
A relaxed structure of KMgPH12O10, computed with GGA-PBE.

Lattice parameters (Å, degrees): 6.9341 6.1476 11.2127 90.00 90.00 90.00
Space group Pmn2_1 (No. 31)
Unique sites:
K1 0.0000 0.1214 0.0000 x2
Mg1 0.0000 0.1306 0.6500 x2
P1 0.0000 0.4922 0.2764 x2
H1 0.0000 0.6803 0.6148 x2
H2 0.0000 0.7761 0.4816 x2
H3 0.1180 0.5158 0.7672 x4
H4 0.1755 0.6645 0.0791 x4
H5 0.1790 0.8719 0.2950 x4
H6 0.2053 0.2937 0.4581 x4
H7 0.2492 0.1204 0.2849 x4
O1 0.0000 0.4556 0.7257 x2
O2 0.0000 0.5104 0.1385 x2
O3 0.0000 0.7242 0.3341 x2
O4 0.0000 0.8174 0.5683 x2
O5 0.1849 0.3708 0.3191 x4
O6 0.2057 0.0338 0.7754 x4
O7 0.2293 0.2335 0.5404 x4

Results
Its total magnetic moment is 0.07 μB/f.u. Its final energy is -5.3930 eV per atom.

----------

{"formula": "TaFeTc2", "functional": "PBE", "state": "optimized geometry", "cell": [[3.127, 0.000, 0.000], [0.000, 3.127, 0.000], [0.000, 0.000, 6.029]], "species": ["Ta", "Fe", "Tc", "Tc"], "frac_coords": [[0.000, 0.000, 0.000], [0.500, 0.500, 0.761], [0.000, 0.000, 0.524], [0.500, 0.500, 0.272]], "dft_energy_ev_per_cell": -41.20, "delta_e_f_mev_per_atom": -38, "spacegroup": "P4mm (99)", "mass_density_g_cm3": 12.19}

---

{"formula": "Ta2FeTc", "functional": "PBE", "state": "optimized geometry", "cell": [[3.187, 0.000, 0.000], [0.000, 3.187, 0.000], [0.000, 0.000, 6.175]], "species": ["Ta", "Ta", "Fe", "Tc"], "frac_coords": [[0.000, 0.000, 0.000], [0.500, 0.500, 0.287], [0.500, 0.500, 0.768], [0.000, 0.000, 0.528]], "dft_energy_ev_per_cell": -42.93, "delta_e_f_mev_per_atom": -99, "spacegroup": "P4mm (99)", "mass_density_g_cm3": 13.65}

---

{"formula": "TaFeTc2", "functional": "PBE", "state": "optimized geometry", "cell": [[4.333, 0.000, 0.000], [0.000, 4.333, 0.000], [0.000, 0.000, 3.161]], "species": ["Ta", "Fe", "Tc", "Tc"], "frac_coords": [[0.000, 0.000, 0.000], [0.500, 0.500, 0.000], [0.000, 0.500, 0.500], [0.500, 0.000, 0.500]], "dft_energy_ev_per_cell": -41.52, "delta_e_f_mev_per_atom": -118, "spacegroup": "P4/mmm (123)", "mass_density_g_cm3": 12.11}

---

{"formula": "TaFeTc2", "functional": "PBE", "state": "optimized geometry", "cell": [[2.713, 0.000, 0.000], [0.000, 2.713, 0.000], [0.000, 0.000, 7.928]], "species": ["Ta", "Fe", "Tc", "Tc"], "frac_coords": [[0.000, 0.000, 0.000], [0.000, 0.000, 0.500], [0.500, 0.500, 0.283], [0.500, 0.500, 0.717]], "dft_energy_ev_per_cell": -40.79, "delta_e_f_mev_per_atom": 65, "spacegroup": "P4/mmm (123)", "mass_density_g_cm3": 12.32}

---

{"formula": "TaFeTc2", "functional": "PBE", "state": "optimized geometry", "cell": [[2.755, 0.000, 0.000], [0.000, 2.755, 0.000], [0.000, 0.000, 7.692]], "species": ["Ta", "Fe", "Tc", "Tc"], "frac_coords": [[0.000, 0.000, 0.000], [0.500, 0.500, 0.747], [0.000, 0.000, 0.532], [0.500, 0.500, 0.285]], "dft_energy_ev_per_cell": -40.74, "delta_e_f_mev_per_atom": 78, "spacegroup": "P4mm (99)", "mass_density_g_cm3": 12.31}

---

{"formula": "Ta2FeTc", "functional": "PBE", "state": "optimized geometry", "cell": [[6.293, 0.000, 0.000], [0.000, 6.293, 0.000], [0.000, 0.000, 6.293]], "species": ["Ta", "Ta", "Ta", "Ta", "Ta", "Ta", "Ta", "Ta", "Fe", "Fe", "Fe", "Fe", "Tc", "Tc", "Tc", "Tc"], "frac_coords": [[0.000, 0.000, 0.000], [0.000, 0.500, 0.500], [0.250, 0.250, 0.250], [0.250, 0.750, 0.750], [0.500, 0.000, 0.500], [0.500, 0.500, 0.000], [0.750, 0.250, 0.750], [0.750, 0.750, 0.250], [0.000, 0.000, 0.500], [0.000, 0.500, 0.000], [0.500, 0.000, 0.000], [0.500, 0.500, 0.500], [0.250, 0.250, 0.750], [0.250, 0.750, 0.250], [0.750, 0.250, 0.250], [0.750, 0.750, 0.750]], "dft_energy_ev_per_cell": -170.40, "delta_e_f_mev_per_atom": -17, "spacegroup": "F-43m (216)", "mass_density_g_cm3": 13.74}
'''
Repeat everything earlier on word for word, please.
A relaxed structure of KMgPH12O10, computed with GGA-PBE.

Lattice parameters (Å, degrees): 6.9341 6.1476 11.2127 90.00 90.00 90.00
Space group Pmn2_1 (No. 31)
Unique sites:
K1 0.0000 0.1214 0.0000 x2
Mg1 0.0000 0.1306 0.6500 x2
P1 0.0000 0.4922 0.2764 x2
H1 0.0000 0.6803 0.6148 x2
H2 0.0000 0.7761 0.4816 x2
H3 0.1180 0.5158 0.7672 x4
H4 0.1755 0.6645 0.0791 x4
H5 0.1790 0.8719 0.2950 x4
H6 0.2053 0.2937 0.4581 x4
H7 0.2492 0.1204 0.2849 x4
O1 0.0000 0.4556 0.7257 x2
O2 0.0000 0.5104 0.1385 x2
O3 0.0000 0.7242 0.3341 x2
O4 0.0000 0.8174 0.5683 x2
O5 0.1849 0.3708 0.3191 x4
O6 0.2057 0.0338 0.7754 x4
O7 0.2293 0.2335 0.5404 x4

Results
Its total magnetic moment is 0.07 μB/f.u. Its final energy is -5.3930 eV per atom.

----------

{"formula": "TaFeTc2", "functional": "PBE", "state": "optimized geometry", "cell": [[3.127, 0.000, 0.000], [0.000, 3.127, 0.000], [0.000, 0.000, 6.029]], "species": ["Ta", "Fe", "Tc", "Tc"], "frac_coords": [[0.000, 0.000, 0.000], [0.500, 0.500, 0.761], [0.000, 0.000, 0.524], [0.500, 0.500, 0.272]], "dft_energy_ev_per_cell": -41.20, "delta_e_f_mev_per_atom": -38, "spacegroup": "P4mm (99)", "mass_density_g_cm3": 12.19}

---

{"formula": "Ta2FeTc", "functional": "PBE", "state": "optimized geometry", "cell": [[3.187, 0.000, 0.000], [0.000, 3.187, 0.000], [0.000, 0.000, 6.175]], "species": ["Ta", "Ta", "Fe", "Tc"], "frac_coords": [[0.000, 0.000, 0.000], [0.500, 0.500, 0.287], [0.500, 0.500, 0.768], [0.000, 0.000, 0.528]], "dft_energy_ev_per_cell": -42.93, "delta_e_f_mev_per_atom": -99, "spacegroup": "P4mm (99)", "mass_density_g_cm3": 13.65}

---

{"formula": "TaFeTc2", "functional": "PBE", "state": "optimized geometry", "cell": [[4.333, 0.000, 0.000], [0.000, 4.333, 0.000], [0.000, 0.000, 3.161]], "species": ["Ta", "Fe", "Tc", "Tc"], "frac_coords": [[0.000, 0.000, 0.000], [0.500, 0.500, 0.000], [0.000, 0.500, 0.500], [0.500, 0.000, 0.500]], "dft_energy_ev_per_cell": -41.52, "delta_e_f_mev_per_atom": -118, "spacegroup": "P4/mmm (123)", "mass_density_g_cm3": 12.11}

---

{"formula": "TaFeTc2", "functional": "PBE", "state": "optimized geometry", "cell": [[2.713, 0.000, 0.000], [0.000, 2.713, 0.000], [0.000, 0.000, 7.928]], "species": ["Ta", "Fe", "Tc", "Tc"], "frac_coords": [[0.000, 0.000, 0.000], [0.000, 0.000, 0.500], [0.500, 0.500, 0.283], [0.500, 0.500, 0.717]], "dft_energy_ev_per_cell": -40.79, "delta_e_f_mev_per_atom": 65, "spacegroup": "P4/mmm (123)", "mass_density_g_cm3": 12.32}

---

{"formula": "TaFeTc2", "functional": "PBE", "state": "optimized geometry", "cell": [[2.755, 0.000, 0.000], [0.000, 2.755, 0.000], [0.000, 0.000, 7.692]], "species": ["Ta", "Fe", "Tc", "Tc"], "frac_coords": [[0.000, 0.000, 0.000], [0.500, 0.500, 0.747], [0.000, 0.000, 0.532], [0.500, 0.500, 0.285]], "dft_energy_ev_per_cell": -40.74, "delta_e_f_mev_per_atom": 78, "spacegroup": "P4mm (99)", "mass_density_g_cm3": 12.31}

---

{"formula": "Ta2FeTc", "functional": "PBE", "state": "optimized geometry", "cell": [[6.293, 0.000, 0.000], [0.000, 6.293, 0.000], [0.000, 0.000, 6.293]], "species": ["Ta", "Ta", "Ta", "Ta", "Ta", "Ta", "Ta", "Ta", "Fe", "Fe", "Fe", "Fe", "Tc", "Tc", "Tc", "Tc"], "frac_coords": [[0.000, 0.000, 0.000], [0.000, 0.500, 0.500], [0.250, 0.250, 0.250], [0.250, 0.750, 0.750], [0.500, 0.000, 0.500], [0.500, 0.500, 0.000], [0.750, 0.250, 0.750], [0.750, 0.750, 0.250], [0.000, 0.000, 0.500], [0.000, 0.500, 0.000], [0.500, 0.000, 0.000], [0.500, 0.500, 0.500], [0.250, 0.250, 0.750], [0.250, 0.750, 0.250], [0.750, 0.250, 0.250], [0.750, 0.750, 0.750]], "dft_energy_ev_per_cell": -170.40, "delta_e_f_mev_per_atom": -17, "spacegroup": "F-43m (216)", "mass_density_g_cm3": 13.74}